<<<
[1]
50
Properties=species:S:1:pos:R:3:forces:R:3 method="wB97M-V/def2-TZVPD" homo_energy_ha="-0.28928 / -0.33273" homo_lumo_gap_ev="6.06 / 7.32" relative_energy_kj_mol=167.08 charge=0 largest_force_ha_per_bohr=0.1055 spin_multiplicity=4
Re 1.34811 -0.57213 -0.97299 2.686 -2.541 -1.894
N 3.17495 -0.05309 -0.03835 0.621 0.593 0.800
C 3.40003 1.36375 -0.37693 0.129 0.684 0.726
C 3.12064 1.51630 -1.85645 -1.224 0.052 -2.405
O 3.66713 2.31936 -2.58384 -0.487 -0.822 1.251
O 2.16050 0.63692 -2.33270 1.701 2.302 0.667
H 3.16005 -0.27125 0.95524 0.235 0.263 -0.050
H 3.83388 -0.70411 -0.50206 -0.318 0.497 0.365
H 4.41100 1.72655 -0.21969 0.239 -0.211 0.191
H 2.73989 2.01760 0.26088 0.397 -0.672 -0.803
C 0.22969 4.85064 -2.07520 -0.334 1.377 0.226
C -0.54434 3.61602 -2.44187 0.089 -0.192 0.270
C -0.20777 2.96391 -3.63170 -0.169 -0.102 0.133
C -0.55905 1.63488 -3.82007 0.046 -0.271 -0.143
C -1.26382 0.98499 -2.80949 1.356 -0.872 0.545
C -1.79100 1.68021 -1.70901 0.318 -0.208 -0.221
C -1.46114 3.02368 -1.54372 0.436 -0.376 -0.921
S -1.16471 -0.85204 -2.84030 -0.569 -1.113 -0.823
O -1.96098 -1.33522 -1.72911 0.332 0.424 -0.860
O -1.49073 -1.15411 -4.23202 0.762 -0.348 1.586
N 0.51568 -1.50281 -2.44122 -3.317 3.034 -0.649
C 1.08568 -2.68096 -2.94601 1.031 -1.804 0.148
C 2.50592 -2.89850 -2.28916 0.242 -1.503 -1.230
O 3.25725 -3.72366 -2.82570 -1.376 2.447 2.165
O 2.71368 -2.20364 -1.12012 -1.590 -0.051 -1.878
H 1.15701 4.92099 -2.67435 -0.483 -0.045 0.347
H 0.50522 4.84474 -0.99361 -0.199 -0.030 -0.799
H -0.35832 5.79960 -2.25058 0.549 -0.914 0.171
H 0.40324 3.48460 -4.37012 -0.057 -0.224 0.239
H -0.24149 1.06154 -4.70136 -0.042 0.349 0.477
H -2.42346 1.15940 -1.00171 0.107 -0.045 0.066
H -1.87881 3.58153 -0.71928 0.174 0.057 0.177
H 1.19726 -2.81634 -4.02574 -0.007 0.608 0.054
H 0.53134 -3.57074 -2.61544 -0.089 -0.031 0.021
F -4.31146 -1.60906 6.49894 1.102 -0.599 0.193
C -3.11263 -2.25895 6.43807 0.333 -0.339 0.868
F -2.34334 -1.82793 7.53787 -1.365 -0.613 -1.529
F -3.34589 -3.59992 6.61705 0.074 1.484 0.077
C -2.38065 -1.99302 5.14521 0.143 0.197 -0.250
C -1.98714 -3.07478 4.31680 -0.575 0.666 1.615
C -1.24572 -2.81206 3.19709 0.296 1.623 -0.526
C -0.93445 -1.44204 2.84395 -1.220 -0.410 1.573
C -1.39936 -0.33693 3.69129 0.771 -1.847 -1.090
C -2.09451 -0.63367 4.84016 -0.326 -1.384 0.172
C -0.22666 -1.25818 1.65387 1.700 0.889 -2.992
C 0.39037 -1.10651 0.53652 -2.564 -0.653 4.734
H -2.25440 -4.09282 4.63698 0.228 0.579 -0.357
H -0.90352 -3.62320 2.56505 0.008 0.206 -0.062
H -1.17142 0.68606 3.43116 0.053 -0.031 -0.157
H -2.45174 0.13441 5.52376 0.154 -0.079 -0.217

=====

[2]
47
Properties=species:S:1:pos:R:3:forces:R:3 method="wB97M-V/def2-TZVPD" homo_energy_ha=-0.28282 homo_lumo_gap_ev=7.13 relative_energy_kj_mol=232.52 charge=0 largest_force_ha_per_bohr=0.1429 smiles="Cc1nc(C(=O)NCC(=O)O)c(O)c2ccc(Oc3ccc4c(c3)OCCO4)nc12"
O 3.43724 -1.60319 4.54364 -0.276 0.118 -2.410
O 4.06507 1.93244 4.71294 5.252 -2.155 1.993
N 2.39747 -0.63081 1.21500 0.476 0.382 -1.324
N -0.97256 -0.36177 0.13371 -1.601 -1.028 -0.541
O 6.11921 1.70439 5.84313 -1.390 -0.509 -0.728
O -3.32492 -0.39500 -0.10382 0.374 -1.326 2.503
O 0.96758 -2.23995 4.15296 -0.008 0.131 -1.902
O -4.11712 1.65223 -5.26472 1.181 0.050 -2.260
O -1.76169 0.13030 -4.74999 0.098 0.107 1.287
C 3.47627 -1.16984 3.36248 2.655 1.554 2.322
C 5.20315 1.35145 4.93007 -5.136 0.598 -3.822
C -2.16176 -0.76694 0.58091 1.085 4.316 -4.282
C 2.34857 -1.19555 2.40232 -2.506 -1.326 1.307
C -4.54822 0.97983 -1.69385 2.000 -1.435 0.153
C -4.74526 1.47850 -2.98168 0.709 -0.292 -1.406
C -2.55745 -0.12782 -2.41212 -0.271 -0.448 1.638
C -2.40387 -1.19484 1.80026 -1.625 -3.524 5.029
C -3.42558 0.14274 -1.28941 -0.485 2.647 -6.840
C -3.80909 1.20834 -4.03024 -0.022 -1.258 2.409
C -2.70179 0.35472 -3.70935 -0.873 1.634 -1.415
C 1.33351 -0.46167 0.42978 5.065 2.693 -1.156
C -1.35920 -1.65830 2.60326 -1.675 1.640 -1.936
C 1.08457 -1.66438 2.88826 1.613 -0.248 2.399
C 0.09951 -0.69441 0.86352 -4.093 -2.304 3.176
>>>

Transcribe only the lines further above with the word "c3" in them, please.

Properties=species:S:1:pos:R:3:forces:R:3 method="wB97M-V/def2-TZVPD" homo_energy_ha=-0.28282 homo_lumo_gap_ev=7.13 relative_energy_kj_mol=232.52 charge=0 largest_force_ha_per_bohr=0.1429 smiles="Cc1nc(C(=O)NCC(=O)O)c(O)c2ccc(Oc3ccc4c(c3)OCCO4)nc12"